DMT Theory, Extremely Scary!


Active Member
Glad we got the hostility out of the air. :)
I reccon OBE and lucid dreams are much more accessable after the "door" has been opened a few times.
Its like your brain learns a new set of tricks... shit I can't even take MDMA anymore without halucinating the most beautifull geometry.
I didn't feel there was any hostility, it was just an aggressive discussion IMO. I agree though, it's probably easier to lucid dream once you have opened that "door". DMT might enhance your dreams too, it makes sense.


Active Member
Haha! never mind, I just remembered that it has happened to me.. I realized I was dreaming, but I still didn't wake up, and I didn't know why, it was awesome but that was only once, and I take melatonin regularly! lol

/*
! GGA-PBE Na8MgSi5Ge3SO24, relaxed; values from VASP
! **Total energy after the MP2020 corrections**: -845.65 eV per cell
! **Calculated formation energy**: -2.5195 eV/atom
! **Space group**: P1, No. 1
! **DFT total energy**: -6.32 eV per atom
! **Total magnetization**: 0.0 μB per cell
&SYSTEM
  ibrav = 0, nat = 126, ntyp = 6
/
ATOMIC_SPECIES
Si 28.09 Si.upf
O 16.00 O.upf
Na 22.99 Na.upf
Mg 24.30 Mg.upf
Ge 72.64 Ge.upf
S 32.06 S.upf
CELL_PARAMETERS angstrom
-4.289 -4.465 -6.398
1.134 -3.657 8.011
-18.879 9.152 6.245
ATOMIC_POSITIONS crystal
Si 0.375 0.041 0.583
Si 0.621 0.666 0.916
Si 0.281 0.285 0.752
Si 0.000 0.293 0.253
Si 0.335 0.381 0.420
Si 0.660 0.041 0.082
Si 0.713 0.997 0.752
Si 0.005 0.711 0.753
Si 0.382 0.341 0.083
Si 0.961 0.627 0.084
Si 0.618 0.956 0.416
Si 0.040 0.661 0.420
Si 0.665 0.626 0.584
Si 0.046 0.380 0.916
Si 0.333 0.954 0.917
O 0.171 0.697 0.478
O 0.880 0.365 0.637
O 0.494 0.624 0.856
O 0.484 0.862 0.355
O 0.848 0.480 0.425
O 0.293 0.831 0.977
O 0.635 0.150 0.424
O 0.170 0.190 0.414
O 0.156 0.652 0.075
O 0.851 0.359 0.924
O 0.022 0.830 0.412
O 0.161 0.976 0.911
O 0.208 0.022 0.305
O 0.184 0.699 0.758
O 0.491 0.843 0.074
O 0.624 0.506 0.641
O 0.154 0.199 0.689
O 0.534 0.697 0.255
O 0.536 0.834 0.475
O 0.536 0.706 0.977
O 0.190 0.495 0.257
O 0.806 0.973 0.412
O 0.353 0.508 0.075
O 0.846 0.302 0.526
O 0.180 0.966 0.194
O 0.710 0.542 0.522
O 0.026 0.185 0.911
O 0.348 0.840 0.574
O 0.179 0.024 0.588
O 0.049 0.832 0.691
O 0.296 0.474 0.478
O 0.134 0.493 0.578
O 0.461 0.167 0.521
O 0.489 0.646 0.574
O 0.510 0.149 0.924
O 0.130 0.505 0.857
O 0.834 0.320 0.247
O 0.838 0.033 0.812
O 0.709 0.171 0.024
O 0.309 0.841 0.253
O 0.816 0.841 0.911
O 0.800 0.957 0.689
O 0.184 0.159 0.087
O 0.376 0.869 0.857
O 0.499 0.115 0.641
O 0.980 0.826 0.094
O 0.171 0.464 0.977
O 0.043 0.204 0.190
O 0.470 0.307 0.748
O 0.836 0.522 0.745
O 0.640 0.491 0.924
O 0.892 0.516 0.145
O 0.489 0.376 0.146
O 0.696 0.167 0.746
O 0.514 0.368 0.422
O 0.296 0.479 0.756
O 0.843 0.826 0.588
O 0.465 0.293 0.024
O 0.464 0.157 0.247
O 0.684 0.533 0.246
O 0.618 0.108 0.145
O 0.837 0.019 0.089
O 0.970 0.174 0.310
O 0.520 0.818 0.756
O 0.193 0.161 0.811
O 0.120 0.618 0.357
O 0.964 0.803 0.812
O 0.818 0.791 0.305
O 0.788 0.817 0.195
O 0.831 0.543 0.024
O 0.382 0.504 0.358
O 0.975 0.177 0.585
Na 0.331 0.664 0.162
Na 0.666 0.333 0.830
Na 0.334 0.298 0.916
Na 0.001 0.997 0.498
Na 0.339 0.671 0.670
Na 0.364 0.365 0.245
Na 0.308 0.333 0.588
Na 0.675 0.332 0.334
Na 0.664 0.967 0.589
Na 0.379 0.007 0.749
Na 0.995 0.623 0.246
Na 0.993 0.368 0.752
Na 0.324 0.033 0.418
Na 0.641 0.011 0.248
Na 0.964 0.667 0.915
Na 0.963 0.289 0.414
Na 0.702 0.035 0.915
Na 0.630 0.622 0.749
Na 0.307 0.969 0.081
Na 0.663 0.694 0.080
Na 0.000 0.000 0.996
Na 0.710 0.675 0.419
Na 0.032 0.342 0.081
Na 0.032 0.703 0.584
Mg 0.998 0.004 0.356
Mg 0.655 0.330 0.689
Mg 0.675 0.335 0.179
Ge 0.001 0.983 0.655
Ge 0.653 0.337 0.479
Ge 0.000 0.001 0.853
Ge 0.007 0.023 0.137
Ge 0.334 0.666 0.814
Ge 0.316 0.645 0.325
*/


Active Member
Haha! never mind, I just remembered that it has happened to me.. I realized I was dreaming, but I still didn't wake up, and I didn't know why, it was awesome but that was only once, and I take melatonin regularly! lol
Just follow the steps in the video. +rep is appreciated.


Well-Known Member
If you want interesting dreams, eat a little salvia before going to bed. I'm not talking about quiding....
I dream alot every night, and I am almost always aware that I'm dreaming.


Well-Known Member
DMT is indeed formed in other organs, like for instance the lungs.
I think what many people misinterpret is that highest concentration of precursors to DMT, are found in the pineal gland.
However I would say based on experience, it has very little to do with the dream state. Allthough I could imagine it to be similar to a near death experience, if it wasn't for some studies that basicaly negated this as likely.

Anyway, after you take some DMT a few times you will understand how unimportant this realy is. All that is important is that this is a key to experience something I believe to be outside of the scope of the endogenous.
DMT is formed in other organs? You just taught me something today ;)

Quite stunned...


Active Member
Meditation and yoga are the best methods for seeing the truth garunteed. A few months ago, some kid at this college was experimenting with DMT and meditation searching for enlightenment or a greater truth. People said he was never a violent person, came from a foster home, but seemed like a he was doing very well. He took DMT and beat one of his classmates to death and nearly another with a baseball bat. This is an extremely unusual case, but technically it could happen to anyone. I personally have had an enlightening experience after going though a really tramatic event. The first part of it is known as ego death, for me this is was by far and above the most excrutiating pain i've ever been through, for a while it felt like i was 1,000 times as sensitive to everything around me as normal, but after a couple months i had a completely opposite experience. It was like a release of all the suffering i had been enduring. Your body and mind become one with everything and you feel like you are some sort of spiritual being having an awkening. Most amazing thing anyone can experience, but its not a good idea through drugs. Buddhist monks spend many years before reaching nirvana, but all through the practice of meditation and yoga etc.

jack the beanstalk

Active Member
I personally have had an enlightening experience after going though a really tramatic event. The first part of it is known as ego death, for me this is was by far and above the most excrutiating pain i've ever been through, for a while it felt like i was 1,000 times as sensitive to everything around me as normal, but after a couple months i had a completely opposite experience. It was like a release of all the suffering i had been enduring. Your body and mind become one with everything and you feel like you are some sort of spiritual being having an awkening. Most amazing thing anyone can experience, but its not a good idea through drugs. Buddhist monks spend many years before reaching nirvana, but all through the practice of meditation and yoga etc.
I have had a similar experience. Ego death with a sort of regenerating soul that eventually goes volcanic in a peak of realization. When you see that pattern in full it makes the trip all worthwhile.

== These data records were left in the page by mistake ==
'''
1.
DFT (PBE-GGA) results for NaAsSe2 after structural relaxation.

a = 7.086 Å, b = 7.086 Å, c = 7.086 Å
α = 133.51°, β = 133.51°, γ = 67.85°
Sites, in units of the cell vectors:
Se1 0.731 0.731 0.000
Na1 0.000 0.000 0.000
Se2 0.481 0.981 0.500
Na2 0.750 0.250 0.500
As1 0.250 0.750 0.500
As2 0.500 0.500 0.000
Se3 0.019 0.519 0.500
Se4 0.269 0.269 0.000

Summary:
- Formation energy: -258 kJ/mol of formula units
- Calculated volume: 92 Å³/f.u.
- Symmetry: I4_1/amd

2.
DFT (PBE-GGA) results for Na3InP2O8 after structural relaxation.

a = 5.535 Å, b = 7.127 Å, c = 8.779 Å
α = 89.99°, β = 90.00°, γ = 90.00°
Sites, in units of the cell vectors:
O1 0.521 0.216 0.294
P1 0.250 0.223 0.905
P2 0.250 0.777 0.599
O2 0.250 0.399 0.003
O3 0.750 0.050 0.509
O4 0.750 0.601 0.997
Na1 0.750 0.289 0.061
P3 0.750 0.777 0.095
O5 0.250 0.950 0.491
O6 0.479 0.224 0.797
O7 0.979 0.216 0.294
O8 0.979 0.776 0.203
Na2 0.750 0.506 0.744
In1 0.250 0.997 0.247
Na3 0.250 0.711 0.939
Na4 0.250 0.494 0.256
O9 0.750 0.958 0.997
O10 0.479 0.784 0.706
Na5 0.750 0.724 0.434
Na6 0.250 0.276 0.566
O11 0.250 0.593 0.510
In2 0.750 0.003 0.753
O12 0.021 0.224 0.797
O13 0.750 0.407 0.490
P4 0.750 0.223 0.401
O14 0.021 0.784 0.706
O15 0.250 0.042 0.003
O16 0.521 0.776 0.203

Summary:
- Formation energy: -3446 kJ/mol of formula units
- Calculated volume: 173 Å³/f.u.
- Symmetry: P2_1/m
'''

ThE cHeMiSt

"Dosage: Take 1 or 2 capsules 90mins prior to the desired effect with a glass of water or fruit juice. Warning: Dont exceed the recommended dose. Taking more than 2 may cause hallucinations. "

"Each 450mg capsule contains: Paullinia cupana, Argyreia nervosa (Hawaiian baby woodrose), Camellia sinensis, Panax ginseng, Piper nigrum and Caffeine."



Well-Known Member
"It was like a release of all the suffering i had been enduring."
I know THAT feeling... its like relieving a pressure you weren't even aware of before.
Sometimes that release is so strong that I would laugh and cry for a few minutes after, while I rebalance to a new equalibrium.

I just don't think I'd be coordinated enough to ever attack anyone while on DMT, that stuff gives me jelly legs, and just walking is "interesting" enough.

I think it was Terrence Mckenna who said that just as DMT can help someone find his good nature, it could let someone of bad nature make peace and accept their badness as is... which would not be a good thing.

As much as I know it is not for everyone, hell I've seen enough funny reactions to the stuff not to offer it to anyone anymore unless they seek me out. Now that I'm nuts I believe that everything is as it should be and the universe guides those people to me, I shouldn't go and play the universe. But for those who do, they never look at me through the same eyes again. A connection/bond is made that stretches to the end of time itself.


I agree with you ANC, ive had that bond with afew people, life changing id say to every1 i seen travel with it. I have smoked at tha same time with others and we have actually ben in the same world, seeing the same shadowy man running in circles smiling at us in a completly white space with no floors,walls or windows. And colors never seen turned into pyramid shaped vortex's. Nevertheless expirience's like that will change people's state of mind into something positive.


Active Member
I have had a similar experience. Ego death with a sort of regenerating soul that eventually goes volcanic in a peak of realization. When you see that pattern in full it makes the trip all worthwhile.

Yes yes, very much a mystical experience, In my opinion most will lesson there chance greatly of having such experience when trying to achieve it through LSD, DMT, shrooms, etc. Although sometime after I had my experience, I was doing mushrooms with my friend, only a small amount, amount 2.2 grams each, and about half way through he had the same enlightening experience, talked about how a veil was lifted from his face. He makes music and in his song he says: "The veil is consistant with lies and programmed minds, I didn't understand it til my man helped me lift it..."


Active Member
"Dosage: Take 1 or 2 capsules 90mins prior to the desired effect with a glass of water or fruit juice. Warning: Dont exceed the recommended dose. Taking more than 2 may cause hallucinations. "

"Each 450mg capsule contains: Paullinia cupana, Argyreia nervosa (Hawaiian baby woodrose), Camellia sinensis, Panax ginseng, Piper nigrum and Caffeine."
